Marian Movement of Priests International
Retreat in Collevalenza, Italy-2007
by Fr. Charles Becker, Co-director
**The page is interrupted by data records**
<<<
[1]
Ba4Ir3O10, optimized geometry, DFT r²SCAN; E_tot = -20.907 eV/atom; space-group type = P2_1/c, No. 14; DFT formation energy = -1918 meV per atom
1.0
13.1938 0.0000 0.0000
0.0000 5.8127 0.0065
0.0000 2.8081 6.7573
O Ba Ir
20 8 6
Direct
0.8492 0.0250 0.9251
0.5407 0.6340 0.2118
0.4740 0.8395 0.7768
0.7276 0.0731 0.2326
0.6511 0.2312 0.5297
0.9593 0.1340 0.2118
0.1508 0.9750 0.0749
0.7724 0.5731 0.2326
0.9740 0.6605 0.2232
0.0260 0.3395 0.7768
0.0407 0.8660 0.7882
0.2724 0.9269 0.7674
0.8489 0.7312 0.5297
0.4593 0.3660 0.7882
0.6508 0.5250 0.9251
0.3489 0.7688 0.4703
0.5260 0.1605 0.2232
0.2276 0.4269 0.7674
0.3492 0.4750 0.0749
0.1511 0.2688 0.4703
0.1372 0.4648 0.0832
0.3628 0.9648 0.0832
0.3885 0.2610 0.4846
0.8628 0.5352 0.9168
0.8885 0.2390 0.5154
0.1115 0.7610 0.4846
0.6372 0.0352 0.9168
0.6115 0.7390 0.5154
0.5000 0.5000 0.0000
0.8500 0.8694 0.2404
0.1500 0.1306 0.7596
0.6500 0.3694 0.2404
0.3500 0.6306 0.7596
0.0000 0.0000 0.0000

[2]
BaCd3Ga, optimized geometry, DFT r²SCAN; E_tot = -19.989 eV/atom; space-group type = I4mm, No. 107; DFT formation energy = -338 meV per atom
1.0
-2.3992 2.3992 5.8410
2.3992 -2.3992 5.8410
2.3992 2.3992 -5.8410
Ga Cd Ba
1 3 1
Direct
0.6215 0.6215 0.0000
0.7435 0.2435 0.5000
0.3878 0.3878 0.0000
0.2435 0.7435 0.5000
0.0038 0.0038 0.0000

[3]
Y3Tm, optimized geometry, DFT r²SCAN; E_tot = -24.017 eV/atom; space-group type = P6_3/mmc, No. 194; DFT formation energy = -1 meV per atom
1.0
-3.1821 -5.5450 3.3708
4.3432 -1.2143 -5.6476
4.5579 -0.4288 3.5974
Y Tm
6 2
Direct
0.1680 0.8322 0.2500
0.3358 0.1679 0.7500
0.8319 0.1678 0.7500
0.8320 0.6643 0.7500
0.1679 0.3357 0.2500
0.6642 0.8322 0.2500
0.6666 0.3331 0.2500
0.3334 0.6669 0.7500

[4]
HfGeRh, optimized geometry, DFT r²SCAN; E_tot = -28.667 eV/atom; space-group type = Pnma, No. 62; DFT formation energy = -947 meV per atom
1.0
2.9802 2.5028 0.7403
3.1811 -4.7349 3.2016
3.3557 -2.0937 -6.4305
Rh Hf Ge
4 4 4
Direct
0.7500 0.8537 0.9323
0.2500 0.1463 0.0678
0.7500 0.3537 0.5677
0.2500 0.6463 0.4322
0.7500 0.9759 0.3081
0.2500 0.0241 0.6918
0.7500 0.4758 0.1918
0.2500 0.5242 0.8082
0.7500 0.2370 0.8847
0.2500 0.2630 0.3848
0.7500 0.7370 0.6152
0.2500 0.7630 0.1153

[5]
Ho2InHg, optimized geometry, DFT r²SCAN; E_tot = -34.998 eV/atom; space-group type = Fm-3m, No. 225; DFT formation energy = -570 meV per atom
1.0
-0.2720 -4.9864 1.5973
-2.4904 -1.1929 4.4570
-4.5745 -2.5571 -0.1566
Ho Hg In
2 1 1
Direct
0.7500 0.7500 0.7500
0.2500 0.2500 0.2500
0.5000 0.5000 0.5000
0.0000 0.0000 0.0000

[6]
IF5, optimized geometry, DFT r²SCAN; E_tot = -8.372 eV/atom; space-group type = C2/c, No. 15; DFT formation energy = -1674 meV per atom
1.0
-2.4806 -5.9413 2.1910
2.0686 0.1033 -7.9328
16.5030 -4.9969 5.1346
F I
50 10
Direct
0.3314 0.4551 0.2783
0.3036 0.6549 0.0766
0.9879 0.0000 0.7500
0.3192 0.2127 0.6976
0.2838 0.1376 0.8399
0.2948 0.9966 0.9911
0.2983 0.0034 0.5089
0.6487 0.3451 0.4234
0.6808 0.7873 0.3024
0.9700 0.6759 0.5100
0.7162 0.8624 0.1601
0.8538 0.1376 0.3399
>>>
**The page goes on**
This past summer’s retreat was held from June 24th to the 30th. Fr. Gobbi is now 77 years old, joking about his age from time to time, but seems to be in good health and is animated as ever! There were approximately 275 priests and 15 Bishops in attendance.
Fr. Gobbi generally begins the retreat with his reflections on the first day (Monday) and usually concludes the retreat with his reflections on the last day of the retreat (Friday). On the other three days the meditations (reflections) are given by other priests of the Movement, which this year included Fr. Michael Gaughran of England for two days and Fr. Francis Geremia of Canada for one day. I would like to share with you some basic points of Fr. Gobbi’s talks and simply give you the titles of the talks of the other priests. Fr. Geremia spoke of “contemplative prayer” particularly as it relates to those consecrated to the Immaculate Heart of Mary in the MMP. Fr. Gaughran had four talks entitled:
1. The Mystery of the Cenacle
2. In the Person of Christ, through the Immaculate Heart of Mary
3. The Cenacle, channel of the mediation of grace
4. My Hour has Come (the urgency of Her Work) (my words in italics)
Before sharing with you some of Fr. Gobbi’s thoughts, some of you may be interested in the basic retreat format. The basic routine of each day of the spiritual exercises or retreat begins with 7:00 AM Morning Prayer (Liturgy of the Hours) chanted in Latin and the First Part of the Rosary in Italian, then breakfast in silence followed by the First Meditation. After a brief break we meet in the Main Chapel for the Second Part of the Rosary in Latin followed by the Celebration of Holy Mass in Latin, presided over by a Bishop and usually at least once by a Cardinal of the Roman Curia. After Mass we all break for Lunch (Dinner), and we are all free to visit. Following the Italian siesta, we resume our prayer just past mid-afternoon with Vespers (Evening Prayer) and the Second Meditation. Once again after a brief break we meet for “fraternity” whereby priests representing various parts of the world share with everyone the “Movements” progress or status in their region. This then is followed by a Holy Hour of Adoration along with the recitation of the Third Part of the Rosary in various languages per decade. The day then concludes around 8:00 PM with a light supper followed by Night Prayer (Liturgy of the Hours).
Fr. Gobbi’s thoughts each year basically follow the theme of his yearly circular letter that anyone belonging to the Marian Movement of Priests may receive at the beginning of every year simply by registering with the Movement. You may register by writing or calling the Movement’s Headquarters in St. Francis, Maine (PO Box 8, St. Francis, Maine 04774-0008), or phone us at 207-398-3375.
Fr. Gobbi’s 2007 Circular Letter had as a theme “The Glory of Mary”. He began his letter with, “The task that has been entrusted to the Marian Movement of Priests, in this time of the purification and the great tribulation, is that of proclaiming The Glory of Mary to the Church and to all humanity.” In his talks in Italy Fr. Gobbi helped us to see that the pride of Satan is often at the root of disseminating error in the Church. He said that the DNA of Satan is “pride”, so that when we see pride, we can be sure of the presence of a demon. Satan said “You will become like gods”, see…pride! How does he trick us?…with pride! Satan will succeed in seducing the world with pride. With pride he took people from God, through practical atheism, through materialism, through being enslaved to technological idols, pleasure, etc. Fr. Gobbi reminded us to look at how many people go to church vs. the discotheques, sports bars, etc. on Sunday! He said the Law of God is violated by the pride of man, e.g. First Commandment – You shall not have strange gods before me (He is not honored); Third Commandment – Keep holy the Sabbath (has become a day of entertainment); Fourth Commandment – Honor your Parents (the family is not just threatened but destroyed, due to sex before marriage, justification of homosexual unions, etc…these are grave sins that are justified today).
Fr. Gobbi reminds us that the devil makes a strong army with the “powerful and the rich of this world”, but the devil will be humiliated. All this power the Lord allows him to have is ultimately meant to humiliate him, because he will not be defeated by God directly but by a human creature – the Blessed Mother; “The task that is referred to Her!”, as She says in Her Messages. She is “…another sign in heaven, the woman clothed with the sun” (and there was a great applause by the priests gathered). Fr. Gobbi referred to the Message of Nov. 9, 1984 to help us see how this battle is unfolding in our times.
In a time when it seems as though there are plenty of things that can cause discouragement, Fr. Gobbi reminds us to go forward with Divine Providence. He says the “book” is diffused everywhere. In Brazil the stadiums are filled and also throughout Latin America and that after 30 years of spiritual exercises and 1300 trips, having only begun with 20 priests, we will see many young come afterwards. Providence provides Fr. Gobbi with the force and direction to continue especially after his heart attack when he was told to be careful, and when he was fearful of another heart attack, he said Our Lady said, “Why? Wasn’t one enough for you?!” Fr. Gobbi said, “So that is why I keep going at 77 years old.” And so Fr. Gobbi reminds us in one of his favorite analogies to allow ourselves to be carried like little babes in Our Lady’s arms, completely dependant and completely docile to the Mother- Our Mother!
........
1.
Compound: K2LiH2Se2O6
Source: the Materials Project database
Functional: PBE
Structure: optimized geometry

Properties
The calculation puts the relative energy among the computed polymorphs at 0.005 eV/atom. The calculation puts the formation enthalpy at 0 K at -1.519 eV per atom.

Lattice parameters (Å, degrees): 5.460 6.204 7.461 72.45 71.36 85.32
Space group P1 (No. 1)
Unique sites:
K1 0.000 0.000 0.000 x1
K2 0.403 0.658 0.280 x1
Li1 0.995 0.295 0.417 x1
H1 0.456 0.219 0.110 x1
H2 0.923 0.527 0.123 x1
Se1 0.508 0.044 0.526 x1
Se2 0.649 0.456 0.778 x1
O1 0.360 0.194 0.355 x1
O2 0.500 0.188 0.978 x1
O3 0.690 0.617 0.910 x1
O4 0.825 0.030 0.399 x1
O5 0.941 0.349 0.681 x1
O6 0.948 0.570 0.232 x1

---

2.
Compound: ZrCrSi
Source: the Materials Project database
Functional: PBE
Structure: optimized geometry

Properties
The calculation puts the formation enthalpy at 0 K at -0.573 eV per atom.

Lattice parameters (Å, degrees): 6.741 3.520 7.888 90.00 90.00 90.00
Space group Pnma (No. 62)
Unique sites:
Zr1 0.041 0.250 0.171 x4
Cr1 0.122 0.250 0.558 x4
Si1 0.239 0.750 0.367 x4

---

3.
Compound: Y6RuI10
Source: the Materials Project database
Functional: PBE
Structure: optimized geometry

Properties
The calculation puts the formation enthalpy at 0 K at -1.436 eV per atom.

Lattice parameters (Å, degrees): 7.760 9.734 9.765 107.02 96.85 104.61
Space group P-1 (No. 2)
Unique sites:
Y1 0.030 0.220 0.418 x2
Y2 0.113 0.542 0.262 x2
Y3 0.352 0.626 0.668 x2
Ru1 0.000 0.500 0.500 x1
I1 0.086 0.871 0.320 x2
I2 0.217 0.242 0.154 x2
I3 0.257 0.587 0.961 x2
I4 0.350 0.950 0.772 x2
I5 0.455 0.317 0.592 x2

---

4.
Compound: Y5U2O12
Source: the Materials Project database
Functional: PBE
Structure: optimized geometry

Properties
The calculation puts the relative energy among the computed polymorphs at 0.000 eV/atom. The calculation puts the formation enthalpy at 0 K at -3.935 eV per atom.

Lattice parameters (Å, degrees): 6.580 6.618 19.572 96.80 97.09 99.39
Space group P1 (No. 1)
Unique sites:
Y1 0.000 0.000 0.000 x1
Y2 0.002 0.457 0.918 x1
Y3 0.117 0.459 0.738 x1
Y4 0.119 0.984 0.824 x1
Y5 0.186 0.885 0.640 x1
Y6 0.334 0.793 0.251 x1
Y7 0.340 0.332 0.333 x1
Y8 0.456 0.328 0.158 x1
Y9 0.523 0.222 0.972 x1
Y10 0.668 0.127 0.584 x1
Y11 0.673 0.665 0.666 x1
Y12 0.784 0.126 0.405 x1
Y13 0.787 0.651 0.490 x1
Y14 0.854 0.551 0.306 x1
Y15 0.932 0.562 0.099 x1
U1 0.228 0.389 0.537 x1
U2 0.263 0.892 0.433 x1
U3 0.453 0.788 0.071 x1
U4 0.561 0.721 0.869 x1
U5 0.597 0.225 0.766 x1
U6 0.896 0.059 0.203 x1
O1 0.004 0.763 0.726 x1
O2 0.127 0.692 0.013 x1
O3 0.147 0.682 0.510 x1
O4 0.188 0.198 0.929 x1
O5 0.202 0.232 0.432 x1
O6 0.213 0.629 0.345 x1
O7 0.226 0.630 0.851 x1
O8 0.228 0.154 0.221 x1
O9 0.255 0.552 0.641 x1
O10 0.257 0.164 0.732 x1
O11 0.266 0.590 0.143 x1
O12 0.310 0.096 0.561 x1
O13 0.341 0.084 0.062 x1
O14 0.449 0.024 0.347 x1
O15 0.479 0.016 0.844 x1
O16 0.522 0.534 0.262 x1
O17 0.534 0.563 0.764 x1
O18 0.546 0.962 0.678 x1
O19 0.559 0.485 0.555 x1
........
There are many such insights Fr. Gobbi has for us to be encouraged in these hours of darkness and a steady reading of Our Lady’s messages give clarity and encouragement to the walk we find ourselves in at these historic times. If you need an updated version of Our Lady’s Messages ending in 1997 please contact the MMP Headquarters. A free will donation is appreciated but Our Lady doesn’t want money to be an obstacle to the spreading of Her messages so please write or call at the above mentioned information.
With Prayers and God’s Blessings!
And Our Lady’s too!
Fr. Charlie